Why WOULDNT Death come up?


I've done about three readings in the aftermath of a break-up. I've told myself, "Ok, that's enough. Look at what's already been shown to you." The thing that gets to me, however, is why hasn't Death shown up? This card has been present for me in other instances that did signify the real ending of a relationship, nothing of the old left. I just find it strange that it hasn't showed up now because I feel like I'm going through a Death kind of phase. Things are changing drastically and things will never be as they were. I think I even sought it out when I did my readings, looking for some sense of validation of what I've been experiencing.

I did get a lower echo, the four of wands, but this for me has never been total change. It's more like "If you were arguing, now that's over with." kind of change, where you don't feel the need to analyze your decisions.

But who knows, maybe in time we'll actually be friends, and that's why it hasn't shown up, but I don't see that happening either. If you've got any experiences with Death, I'd like to know.


Sorry to be flippant but . . .

Maybe - like in the Terry Pratchett novel - Death is on holiday (vacation to us Americans) and his grand-daughter Susan has the reins, and she's a kinder, gentler soul. Or Death is suppressing a yawn and saying "Here we go again!"

Seriously, though, its absence could be showing that the reading isn't about the situation, it's more about the fact that you still haven't changed, so it's not going to rub your nose in it. There's a line from the Bob Dylan song, Stuck Inside of Mobile with the Memphis Blues Again that goes:

And here I sit so patiently
Waiting to find out what price
You have to pay to get out of
Going through all these things twice

Maybe there's something you haven't done yet to reach closure, and Death is staying its hand until you figure that out.


Death doesn't always show up when things "change", even drastically; there's usually a deep sense of finality required, as well, which may not have been a part of the breakup from your view... The 4 of Wands does suggest a lingering hope or outright expectation that this person will eventually "come home"/return to your life in some capacity, whether as a friend or a lover; it can also show urges to encourage such an outcome (by initiating contact, being enthusiastically warm and welcoming, etc.)... And, yes, it's also possible that Death hasn't appeared because this person actually will re-enter the scene at some point, though that's not necessarily the case...

Any of these could be reasons why Death isn't being drawn. If you really won't be involved with each other again and it's still not coming up, then more concrete "proof" of the End may still be required by you on some level (i.e. failed attempts to reconnect), or this person's importance/influence may simply need to fade even more, over time, to a point of no return. Just some ideas.


Personally, I wouldn't spend too much time worrying about one specific card not showing up in a reading. There are a lot of cards and they all combine to show you the message that you are needing at the time. A lot of the cards can convey pretty similar messages, but in their own ways. Death is not the only card that can signify changes, especially if you are reading in the context of an entire spread. It almost sounds like you are holding out hope that the fact that Death hasn't appeared is a sign that everything might still work out. I obviously don't know either way, but *typically* you base readings more on the cards you draw than the ones you don't. I've done a lot of breakup readings, and Death is not a card that I necessarily expect to see. Perhaps you should accept Death's absence as a good sign, that this breakup is not going to cause that much of a huge impact on your life in the long run, regardless of if they're gone for good or not.

Misplaced records of crystals:
+++
PmNdMg2: simulated X-ray diffraction stick pattern (Cu Kα), based on a cell relaxed with GGA-PBE.
Kinematic intensities with the Lorentz-polarization factor, no thermal factor.

Structure:
Unit cell a=3.8792 b=3.8792 c=7.7603 alpha=90.00 beta=90.00 gamma=90.00
Fractional positions:
Pm 0.0000 0.0000 0.0000
Nd 0.0000 0.0000 0.5000
Mg 0.5000 0.5000 0.2469
Mg 0.5000 0.5000 0.7531

The 10 most intense peaks (15° ≤ 2θ ≤ 90°), in order of falling intensity:
32.6 deg, I = 100; 22.9 deg, I = 59; 58.3 deg, I = 38; 52.8 deg, I = 25; 40.3 deg, I = 18; 46.8 deg, I = 18; 77.9 deg, I = 16; 73.2 deg, I = 12; 68.4 deg, I = 12; 82.5 deg, I = 7

=====

Pm5Nd2Mg: simulated X-ray diffraction stick pattern (Cu Kα), based on a cell relaxed with GGA-PBE.
Kinematic intensities with the Lorentz-polarization factor, no thermal factor.

Structure:
Unit cell a=7.2068 b=7.2068 c=7.2068 alpha=120.12 beta=120.12 gamma=89.79
Fractional positions:
Pm 0.0000 0.0000 0.0000
Pm 0.0000 0.0000 0.5000
Pm 0.0000 0.5000 0.0000
Pm 0.5000 0.0000 0.0000
Pm 0.5000 0.5000 0.5000
Nd 0.0000 0.5000 0.5000
Nd 0.5000 0.0000 0.5000
Mg 0.5000 0.5000 0.0000

The 10 most intense peaks (15° ≤ 2θ ≤ 90°), in order of falling intensity:
30.4 deg, I = 100; 35.3 deg, I = 34; 60.3 deg, I = 28; 50.7 deg, I = 24; 35.2 deg, I = 17; 60.2 deg, I = 14; 63.3 deg, I = 12; 50.8 deg, I = 12; 82.5 deg, I = 12; 85.3 deg, I = 11

=====

PmNd3Mg4: simulated X-ray diffraction stick pattern (Cu Kα), based on a cell relaxed with GGA-PBE.
Kinematic intensities with the Lorentz-polarization factor, no thermal factor.

Structure:
Unit cell a=3.8923 b=5.4821 c=10.9647 alpha=90.00 beta=90.00 gamma=90.00
Fractional positions:
Pm 0.0000 0.0000 0.0000
Nd 0.0000 0.0000 0.5000
Nd 0.0000 0.5000 0.2496
Nd 0.0000 0.5000 0.7504
Mg 0.5000 0.0000 0.2493
Mg 0.5000 0.0000 0.7507
Mg 0.5000 0.5000 0.0000
Mg 0.5000 0.5000 0.5000

The 10 most intense peaks (15° ≤ 2θ ≤ 90°), in order of falling intensity:
32.6 deg, I = 100; 22.9 deg, I = 59; 58.3 deg, I = 25; 40.2 deg, I = 18; 52.8 deg, I = 17; 58.1 deg, I = 13; 46.9 deg, I = 12; 77.9 deg, I = 11; 52.6 deg, I = 8; 68.3 deg, I = 8

=====

PmNd5Mg6: simulated X-ray diffraction stick pattern (Cu Kα), based on a cell relaxed with GGA-PBE.
Kinematic intensities with the Lorentz-polarization factor, no thermal factor.

Structure:
Unit cell a=8.6777 b=8.6777 c=7.7875 alpha=90.00 beta=90.00 gamma=143.13
Fractional positions:
Pm 0.0000 0.0000 0.0000
Nd 0.0000 0.0000 0.5000
Nd 0.3332 0.6668 0.5000
Nd 0.3337 0.6663 0.0000
Nd 0.6663 0.3337 0.0000
Nd 0.6668 0.3332 0.5000
Mg 0.1666 0.8334 0.2490
Mg 0.1666 0.8334 0.7510
Mg 0.5000 0.5000 0.2490
Mg 0.5000 0.5000 0.7510
Mg 0.8334 0.1666 0.2490
Mg 0.8334 0.1666 0.7510

The 10 most intense peaks (15° ≤ 2θ ≤ 90°), in order of falling intensity:
32.6 deg, I = 100; 22.9 deg, I = 59; 58.2 deg, I = 25; 40.2 deg, I = 18; 52.7 deg, I = 17; 58.1 deg, I = 13; 46.8 deg, I = 12; 77.8 deg, I = 11; 73.1 deg, I = 10; 52.6 deg, I = 8

=====
+++
The records of crystals stop here:


I'm not familiar with echo cards so I'm hesitant to respond about the 4 of Wands. However, the 4 of Wands can mean a happy social event like a wedding or birthday party or something like that. Maybe this card is telling you that in the long run, you'll be celebrating the fact that you've ended the relationship. (Or he did, if that's the case.)

As for the Death card not appearing in the readings you've done, I'd interpret it to mean that you haven't accepted the end of the relationship. You're not over him yet and you haven't "laid the issue to rest" once and for all yet.


Sorry to be flippant but . . .

Maybe - like in the Terry Pratchett novel - Death is on holiday (vacation to us Americans) and his grand-daughter Susan has the reins, and she's a kinder, gentler soul. Or Death is suppressing a yawn and saying "Here we go again!"

Seriously, though, its absence could be showing that the reading isn't about the situation, it's more about the fact that you still haven't changed, so it's not going to rub your nose in it. There's a line from the Bob Dylan song, Stuck Inside of Mobile with the Memphis Blues Again that goes:

And here I sit so patiently
Waiting to find out what price
You have to pay to get out of
Going through all these things twice

Maybe there's something you haven't done yet to reach closure, and Death is staying its hand until you figure that out.

[Between two parts of the text: crystal structures]
~~~
Entry 1:
This entry pairs a crystal structure of Al2NiO4 with its computed XRD peak list. Radiation: Cu Kα X-rays. Structure: a GGA+U-relaxed structure.

Principal peaks in the range 2θ from 15° to 90°, in order of rising 2θ:
(hkl)	Position (°2θ)	I (rel.)
1 1 -1	30.80	75
-1 1 1	30.95	74
1 -2 1	31.08	73
0 1 1	36.22	50
1 1 -2	36.41	100
1 -1 2	36.50	77
-2 1 1	36.61	52
0 3 -2	54.97	30
2 0 2	64.17	50
4 -2 0	64.80	49

Structural model:
```
data_Al2NiO4
_chemical_formula_sum 'Al4 Ni2 O8'
_symmetry_space_group_name_H-M 'P 1'
_symmetry_Int_Tables_number 1
_symmetry_space_group_name_Hall 'P 1'
_cell_length_a 5.7545
_cell_length_b 5.7556
_cell_length_c 5.7728
_cell_angle_alpha 119.78
_cell_angle_beta 90.31
_cell_angle_gamma 119.40
loop_
_atom_site_label
_atom_site_type_symbol
_atom_site_fract_x
_atom_site_fract_y
_atom_site_fract_z
_atom_site_occupancy
Al1 Al 0.0000 0.0000 0.0000 1
Al2 Al 0.9998 0.4982 0.4976 1
Al3 Al 0.0011 0.5008 0.9990 1
Al4 Al 0.4993 0.9989 0.9995 1
Ni1 Ni 0.3805 0.2493 0.6278 1
Ni2 Ni 0.6249 0.7508 0.3802 1
O1 O 0.2072 0.4686 0.2315 1
O2 O 0.2296 0.9652 0.7597 1
O3 O 0.2357 0.9710 0.2080 1
O4 O 0.2381 0.5272 0.7615 1
O5 O 0.7601 0.4684 0.2296 1
O6 O 0.7633 0.0264 0.2356 1
O7 O 0.7659 0.0346 0.7968 1
O8 O 0.7963 0.5334 0.7618 1
```

Entry 2:
This entry pairs a crystal structure of NdMn7O12 with its computed XRD peak list. Radiation: Cu Kα X-rays. Structure: a GGA+U-relaxed structure.

Principal peaks in the range 2θ from 15° to 90°, in order of rising 2θ:
(hkl)	Position (°2θ)	I (rel.)
1 1 0	16.57	17
2 1 1	28.91	6
2 2 0	33.50	100
3 1 0	37.60	13
2 2 2	41.34	5
3 2 1	44.83	13
4 0 0	48.11	26
4 2 2	59.90	48
4 4 0	70.40	12
6 0 2	80.25	16

Structural model:
```
data_NdMn7O12
_chemical_formula_sum 'Nd2 Mn14 O24'
_symmetry_space_group_name_H-M 'I m -3'
_symmetry_Int_Tables_number 204
_symmetry_space_group_name_Hall '-I 2 2 3'
_cell_length_a 7.5654
_cell_length_b 7.5654
_cell_length_c 7.5654
_cell_angle_alpha 90.00
_cell_angle_beta 90.00
_cell_angle_gamma 90.00
loop_
_atom_site_label
_atom_site_type_symbol
_atom_site_fract_x
_atom_site_fract_y
_atom_site_fract_z
_atom_site_occupancy
Nd1 Nd 0.0000 0.0000 0.0000 1
Mn1 Mn 0.0000 0.0000 0.5000 1
Mn2 Mn 0.2500 0.2500 0.2500 1
O1 O 0.0000 0.1752 0.3056 1
```

Entry 3:
This entry pairs a crystal structure of LiFe4P3O12 with its computed XRD peak list. Radiation: Cu Kα X-rays. Structure: a GGA+U-relaxed structure.

Principal peaks in the range 2θ from 15° to 90°, in order of rising 2θ:
(hkl)	Position (°2θ)	I (rel.)
1 1 2	20.70	24
1 0 5	27.22	21
2 1 1	29.62	20
2 0 4	32.48	100
2 0 6	39.16	8
3 1 2	42.96	19
3 1 6	51.49	11
4 0 0	53.65	16
2 2 8	54.69	15
4 2 4	64.13	12

Structural model:
```
data_LiFe4P3O12
_chemical_formula_sum 'Li4 Fe16 P12 O48'
_symmetry_space_group_name_H-M 'I -4 2 d'
_symmetry_Int_Tables_number 122
_symmetry_space_group_name_Hall 'I -4 2bw'
_cell_length_a 6.8334
_cell_length_b 6.8334
_cell_length_c 18.6667
_cell_angle_alpha 90.00
_cell_angle_beta 90.00
_cell_angle_gamma 90.00
loop_
~~~

That's a very good point, but I do feel very changed by it. That's why I thought it was so curious that this card, that I could just feel coming as I drew, didn't show up at all. It is possible that there's still something left to do on my end. I am the sort of person that won't let go of friendships easily. So maybe that last test is yet to be given.


Death doesn't always show up when things "change", even drastically; there's usually a deep sense of finality required, as well, which may not have been a part of the breakup from your view... The 4 of Wands does suggest a lingering hope or outright expectation that this person will eventually "come home"/return to your life in some capacity, whether as a friend or a lover; it can also show urges to encourage such an outcome (by initiating contact, being enthusiastically warm and welcoming, etc.)... And, yes, it's also possible that Death hasn't appeared because this person actually will re-enter the scene at some point, though that's not necessarily the case...

Any of these could be reasons why Death isn't being drawn. If you really won't be involved with each other again and it's still not coming up, then more concrete "proof" of the End may still be required by you on some level (i.e. failed attempts to reconnect), or this person's importance/influence may simply need to fade even more, over time, to a point of no return. Just some ideas.

Very good point. The tower can hit you hard, but death can creep up on you. It's possible that death isn't around because a real sense of finality has yet to come. I feel like it's there, but tarot can know you better than you know yourself at times.


Personally, I wouldn't spend too much time worrying about one specific card not showing up in a reading. There are a lot of cards and they all combine to show you the message that you are needing at the time. A lot of the cards can convey pretty similar messages, but in their own ways. Death is not the only card that can signify changes, especially if you are reading in the context of an entire spread. It almost sounds like you are holding out hope that the fact that Death hasn't appeared is a sign that everything might still work out. I obviously don't know either way, but *typically* you base readings more on the cards you draw than the ones you don't. I've done a lot of breakup readings, and Death is not a card that I necessarily expect to see. Perhaps you should accept Death's absence as a good sign, that this breakup is not going to cause that much of a huge impact on your life in the long run, regardless of if they're gone for good or not.

Yes, I thought of that too, not worrying about other cards, but I figured it might be a fun discussion. And I've enjoyed the responses so far!

I'm not truly holding out for hope. I was actually hoping to see Death, as strange as it sounds. But like I said in another comment, I am the sort of person to try to keep friendships going because life is just so short. I want to keep good vibes all around. It's very possible that I may not actually say "Go away" if he comes around again. Not that it isn't what I want, because I very much do want that finality.

I've had one other important relationship, and death came up when that one ended despite the fact that I didn't necessarily feel or want it. But it did indeed change and he doesn't seem familiar to me at all. So it just made me wonder what was up with this one.


I'm not familiar with echo cards so I'm hesitant to respond about the 4 of Wands. However, the 4 of Wands can mean a happy social event like a wedding or birthday party or something like that. Maybe this card is telling you that in the long run, you'll be celebrating the fact that you've ended the relationship. (Or he did, if that's the case.)

As for the Death card not appearing in the readings you've done, I'd interpret it to mean that you haven't accepted the end of the relationship. You're not over him yet and you haven't "laid the issue to rest" once and for all yet.

I can associate the 4 of wands with a sense of completion, but like I said it's never an absolute. Like one phase is ending but none of the outer circumstances actually changes. Like, say a job has been such a downer, if I saw the four of wands I'd think "Ok, it's going to feel different and be less of a drain." One phase is complete, but things are stable. If I saw Death, I might think someone will move to another position or a new manager will come and change everything, so whatever you're disliking about your job now will be a total thing of the past. That's what I meant by "echo", there's a similar meaning there but doesn't come about in the same way.


It could be it didn't show up because you didn't really need that message as much as you needed what the other cards had to say.